Sunday, 16 March 2014


Two poems by Cesare Pavese (from Lavorare Stanca)

Morning Star (Lo Steddazzu)

The lonely man gets up when the sea is still dark
and the stars tremble. A warm breeze
rises from the shore, where the seabed is,
and soothes the breath. This is the time in which
nothing can happen. Even the pipe in his mouth
dangles unlit. Nocturnal is the quiet swash.
The lonely man has already lit a bonfire of branches
and he watches as it reddens the soil.
The ocean too
will soon surge like the fire.

Nothing is more bitter than the dawn of a day
in which nothing will happen. Nothing is more bitter
than uselessness. A greenish star
hangs tired in the sky, surprised by the sunrise.
It sees the ocean still dark and a patch of fire
where the man, to kill time, keeps warm;
it sees and falls asleep amidst the gloomy mountains
in a bed of snow. The slowness of time
is atrocious for those who have nothing to wait for, any longer.

=====
This entry pairs a crystal structure of La3Si3Au with its theoretical powder X-ray diffraction pattern. Radiation: Cu Ka. Structure: a cell relaxed with PBE.
Peak positions follow from Bragg's law for the DFT cell and can differ from measured ones.

Largest 10 diffraction maxima, most intense first, 5° ≤ 2θ ≤ 70°:
hkl	2θ (°)	I (rel.)
1 1 2	31.0	1000
0 1 5	31.1	533
1 0 3	25.7	304
0 0 2	9.4	282
1 0 7	39.8	241
0 2 0	40.7	224
2 1 5	54.5	219
2 0 0	43.6	185
0 1 3	24.6	183
1 1 4	35.2	167

```
data_La3Si3Au
_chemical_formula_sum 'La6 Si6 Au2'
_symmetry_space_group_name_H-M 'P 1'
_symmetry_Int_Tables_number 1
_cell_length_a 4.1544
_cell_length_b 4.4316
_cell_length_c 18.9000
_cell_angle_alpha 90.00
_cell_angle_beta 90.00
_cell_angle_gamma 90.00
loop_
_symmetry_equiv_pos_as_xyz
'x,y,z'
loop_
_atom_site_label
_atom_site_fract_x
_atom_site_fract_y
_atom_site_fract_z
La1 0.0000 0.0000 0.0000
La2 0.0000 0.0000 0.3708
La3 0.0000 0.5000 0.6923
La4 0.5000 0.0000 0.1923
La5 0.5000 0.5000 0.5000
La6 0.5000 0.5000 0.8708
Si1 0.0000 0.0000 0.5447
Si2 0.0000 0.0000 0.8256
Si3 0.0000 0.5000 0.2529
Si4 0.5000 0.0000 0.7529
Si5 0.5000 0.5000 0.0447
Si6 0.5000 0.5000 0.3256
Au1 0.0000 0.5000 0.1223
Au2 0.5000 0.0000 0.6223
```

=====

Diffraction record for Ac2Sm2Ge3. The XRD peak list is computed, not measured: it uses a PBE-relaxed structure and Cu Kα (λ = 1.5418 Å).
Lines closer than 0.1° are merged.

Structural model:
```
7
Lattice="4.286 0.000 0.000 -2.142 7.046 0.000 -0.011 -1.284 7.884" Properties=species:S:1:pos:R:3 pbc="T T T"
Ac 0.000 1.328 2.879
Ac 2.133 4.434 5.005
Sm 0.000 5.068 0.735
Sm 2.133 0.694 7.149
Ge 0.000 0.000 0.000
Ge -0.010 2.352 5.901
Ge 2.143 3.410 1.983
```

Main lines, by angle (15° ≤ 2θ ≤ 90°):
| (hkl) | 2θ/deg | d (Å) | I/Imax |
| --- | --- | --- | --- |
| 0 1 -2 | 24.1 | 3.694 | 217 |
| 1 0 1 | 25.0 | 3.566 | 413 |
| 0 2 0 | 25.6 | 3.477 | 205 |
| 0 1 2 | 27.7 | 3.215 | 542 |
| 1 1 -1 | 29.4 | 3.039 | 1000 |
| 1 -1 3 | 39.9 | 2.261 | 402 |
| 0 3 -2 | 41.9 | 2.158 | 544 |
| 2 -1 0 | 42.2 | 2.143 | 202 |
| 2 0 2 | 51.2 | 1.783 | 202 |
| 2 -4 2 | 61.0 | 1.520 | 121 |

=====

1.
Tb8P6Cl: calculated powder diffractogram (Cu Kα), based on a cell relaxed with PBE.
Lines closer than 0.1° are merged.

Crystal structure
a = 10.662 Å, b = 10.662 Å, c = 4.127 Å
α = 90.00°, β = 90.00°, γ = 120.00°
Positions (direct):
Tb (0.036, 0.370, 0.245)
Tb (0.333, 0.667, 0.753)
Tb (0.334, 0.964, 0.245)
Tb (0.370, 0.334, 0.755)
Tb (0.630, 0.666, 0.245)
Tb (0.666, 0.036, 0.755)
Tb (0.667, 0.333, 0.247)
Tb (0.964, 0.630, 0.755)
P (0.143, 0.668, 0.254)
P (0.332, 0.475, 0.254)
P (0.475, 0.143, 0.746)
P (0.525, 0.857, 0.254)
P (0.668, 0.525, 0.746)
P (0.857, 0.332, 0.746)
Cl (0.000, 0.000, 0.000)

Main lines, in order of rising 2θ (5 to 70 degrees two-theta):
- (1 0 0), 2θ = 9.58°, d 9.233, intensity 45
- (2 -1 1), 2θ = 27.33°, d 3.263, intensity 68
- (3 0 0), 2θ = 29.01°, d 3.078, intensity 100
- (2 1 1), 2θ = 33.63°, d 2.665, intensity 33
=====

Is it worth it for the sun to rise from the sea
and for the long day to begin? Tomorrow
the warm dawn will return with its diaphanous light
and it will be like yesterday and nothing will ever happen.
The lonely man wishes only to sleep.
When the last star in the sky vanishes,
the man slowly prepares his pipe and lights it.

Instinct (L'istinto)

From his doorstep in the warm sun,
the old man, disillusioned with everything,
watches the dog and the bitch unleash their instinct.

Flies crawl around his toothless mouth,
his wife died long ago.
She too, like all bitches, did not want to hear of it,
but the instinct was there.

The old man, not yet toothless,
could smell it; the night would come,
they would go to bed. The instinct was good.
What he likes about dogs is the immense freedom.

Prowling the streets from morning to night;
eating a little, sleeping a little, mounting bitches a little:
without even waiting for the night. They reason
the way they sniff, and whatever they smell is theirs.

The old man remembers how once in the daytime
he did it like the dog in a field of wheat.
He no longer knows who the bitch was, but he remembers the hot sun
and the sweat and his desire never to stop.

It was like being in bed. If he were young again
he would always do it in a field of wheat.

A woman walks down the street and stops to watch;
the priest goes by and turns around. Everything is allowed
in the public square.
Even the woman, who restrains herself from turning around
for a man, stops.
Only a boy can't tolerate the game
and begins to pelt stones. The old man resents it.

- The end - 

Tuesday, 11 March 2014

**What comes next are calculated crystals, not part of the piece:**
~~~
For NaInGe4O12, a crystal structure in the Materials Project, relaxed with PBE gives the theoretical X-ray diffraction stick pattern in this record (Cu Kα).

Cell and atoms:
Lattice parameters (Å, degrees): 7.421 7.372 7.508 90.00 90.00 90.00
Space group Amm2 (No. 38)
One atom of each set of equivalent atoms:
Na1 0.000 0.000 0.000 [2 per cell]
In1 0.500 0.000 0.467 [2 per cell]
Ge1 0.243 0.245 0.732 [8 per cell]
O1 0.000 0.207 0.223 [4 per cell]
O2 0.205 0.000 0.782 [4 per cell]
O3 0.276 0.203 0.481 [8 per cell]
O4 0.308 0.000 0.211 [4 per cell]
O5 0.500 0.188 0.722 [4 per cell]

Peak list (8 most intense, 2θ = 5–70°, in order of rising 2θ)
d 4.291, 2θ = 20.70°, I 100.0; d 3.754, 2θ = 23.70°, I 42.8; d 2.639, 2θ = 33.97°, I 83.0; d 2.630, 2θ = 34.09°, I 92.9; d 2.615, 2θ = 34.29°, I 96.4; d 1.877, 2θ = 48.50°, I 40.4; d 1.516, 2θ = 61.13°, I 42.7; d 1.511, 2θ = 61.36°, I 44.5


Starting from a DFT-relaxed cell (PBE+U, Alexandria), the powder diffractogram of MgVF5 was computed for CuKα.

Largest 6 diffraction maxima, low angle first, 10 to 80 degrees two-theta:
2theta, I_rel
18.34, 23
23.04, 87
27.60, 100
28.78, 33
47.09, 35
50.27, 40

Structure:
a = 5.3159 Å, b = 5.3159 Å, c = 7.5732 Å
α = 111.32°, β = 111.32°, γ = 71.41°
Fractional coordinates of all 14 atoms:
Mg 0.0289 0.9711 0.7500
Mg 0.9711 0.0289 0.2500
V 0.5000 0.5000 0.0000
V 0.5000 0.5000 0.5000
F 0.1766 0.7846 0.0507
F 0.2154 0.8234 0.4493
F 0.2184 0.2847 0.3650
F 0.2847 0.2184 0.8650
F 0.3703 0.6297 0.7500
F 0.6297 0.3703 0.2500
F 0.7153 0.7816 0.1350
F 0.7816 0.7153 0.6350
F 0.7846 0.1766 0.5507
F 0.8234 0.2154 0.9493


No. 1
Simulated PXRD pattern of BaCr4O8 for Cu Kα, from a crystal structure in the Materials Project, relaxed with GGA+U.

Structural model:
Unit cell a=5.6175 b=5.6175 c=7.9440 alpha=90.00 beta=90.00 gamma=120.00
Space group P-31m (No. 162)
Symmetry-distinct sites (fractional):
Ba1 0.0000 0.0000 0.0000 x1
Cr1 0.3333 0.6667 0.2333 x4
O1 0.0000 0.3638 0.2853 x6
O2 0.3333 0.6667 0.0000 x2

Largest 8 diffraction maxima, by angle, 15 to 90 degrees two-theta:
| hkl | 2theta | I/Imax |
| --- | --- | --- |
| 1 0 1 | 21.4 | 43 |
| 1 0 2 | 29.0 | 100 |
| 1 1 0 | 31.9 | 82 |
| 2 -1 1 | 33.9 | 63 |
| 1 0 3 | 38.7 | 26 |
| 2 0 2 | 43.6 | 24 |
| 3 -1 2 | 55.0 | 29 |
| 3 0 0 | 56.8 | 55 |

No. 2
Simulated PXRD pattern of FePH5CO4 for Cu Kα, from a crystal structure in the Materials Project, relaxed with GGA+U.

Structural model:
Unit cell a=5.7882 b=9.0798 c=9.6988 alpha=90.06 beta=90.14 gamma=90.04
Space group P1 (No. 1)
Symmetry-distinct sites (fractional):
Fe1 0.0000 0.0000 0.0000 x1
Fe2 0.0097 0.0001 0.5005 x1
Fe3 0.4970 0.9489 0.2498 x1
Fe4 0.5148 0.9510 0.7498 x1
P1 0.0193 0.7866 0.7820 x1
P2 0.4988 0.1638 0.0324 x1
P3 0.5105 0.1649 0.5324 x1
P4 0.9942 0.7857 0.2823 x1
H1 0.0023 0.5752 0.9294 x1
H2 0.0089 0.5746 0.4306 x1
H3 0.1408 0.1710 0.2871 x1
H4 0.1427 0.1701 0.7861 x1
H5 0.1565 0.5369 0.7737 x1
H6 0.1615 0.5435 0.2726 x1
H7 0.3441 0.4075 0.5236 x1
~~~


First report on the Earth by “Special Reporter” from the Moon: a novella by Alberto Moravia (Racconti Surrealistici e Satirici)

Primo rapporto sulla Terra dell' “Inviato Speciale” della Luna

**Attached: records of crystals**
........
Diffraction record for Er6Co30P19. The X-ray diffraction stick pattern is theoretical, not measured: it uses a PBE-relaxed structure and Cu Kα (weighted mean of Kα1 and Kα2).
Neutral-atom scattering factors, no anomalous dispersion.

a b c (Å): 14.6851 14.6851 3.5694
angles (deg): 90.00 90.00 120.00
Positions (direct):
Er: 0.0381 0.7639 0.0000
Er: 0.2361 0.2742 0.0000
Er: 0.4306 0.0592 0.5000
Er: 0.6286 0.5694 0.5000
Er: 0.7258 0.9619 0.0000
Er: 0.9408 0.3714 0.5000
Co: 0.0623 0.6219 0.5000
Co: 0.0676 0.2501 0.5000
Co: 0.1084 0.0146 0.0000
Co: 0.1086 0.3928 0.0000
Co: 0.1756 0.5371 0.5000
Co: 0.1825 0.9324 0.5000
Co: 0.2209 0.6916 0.0000
Co: 0.2597 0.1301 0.5000
Co: 0.2842 0.8914 0.0000
Co: 0.3084 0.5294 0.0000
Co: 0.3615 0.8244 0.5000
Co: 0.3781 0.4405 0.5000
Co: 0.4071 0.2024 0.0000
Co: 0.4629 0.6385 0.5000
Co: 0.4706 0.7791 0.0000
Co: 0.4830 0.4008 0.0000
Co: 0.5583 0.3188 0.5000
Co: 0.5595 0.9377 0.5000
Co: 0.5992 0.0822 0.0000
Co: 0.6072 0.7158 0.0000
Co: 0.6812 0.2395 0.5000
Co: 0.7499 0.8175 0.5000
Co: 0.7605 0.4417 0.5000
Co: 0.7953 0.5929 0.0000
Co: 0.7976 0.2047 0.0000
Co: 0.8699 0.1296 0.5000
Co: 0.8704 0.7403 0.5000
Co: 0.9062 0.8916 0.0000
Co: 0.9178 0.5170 0.0000
Co: 0.9854 0.0938 0.0000
P: 0.0159 0.8985 0.5000
P: 0.0779 0.5321 0.0000
P: 0.1015 0.1174 0.5000
P: 0.1975 0.7873 0.5000
P: 0.2127 0.4102 0.5000
P: 0.2706 0.0373 0.0000
P: 0.3333 0.6667 0.5000
P: 0.3954 0.2960 0.5000
P: 0.4542 0.9221 0.0000
P: 0.4679 0.5458 0.0000
P: 0.5656 0.2154 0.0000
P: 0.5898 0.8025 0.5000
P: 0.6498 0.4344 0.0000
P: 0.7040 0.0994 0.5000
P: 0.7667 0.7294 0.0000
P: 0.7846 0.3502 0.0000
P: 0.8826 0.9841 0.5000
P: 0.9006 0.6046 0.5000
P: 0.9627 0.2333 0.0000

Largest 12 diffraction maxima, by angle, 2θ = 10–90°:
hkl, Position (°2θ), I (rel.)
1 1 1, 27.79, 11
2 3 0, 30.64, 10
3 1 1, 35.79, 11
4 2 0, 37.42, 13
4 0 1, 37.90, 17
2 3 1, 39.91, 100
5 2 0, 44.49, 9
0 0 2, 51.18, 19
7 1 0, 54.47, 20
3 5 1, 56.87, 10
7 1 2, 78.01, 15
2 3 3, 88.81, 9



Diffraction record for La2MgS4. The X-ray diffraction stick pattern is theoretical, not measured: it uses a PBE-relaxed structure and Cu Kα (weighted mean of Kα1 and Kα2).
Neutral-atom scattering factors, no anomalous dispersion.

a b c (Å): 8.3827 7.1652 11.9087
angles (deg): 90.00 90.00 90.00
Positions (direct):
La: 0.0230 0.2500 0.1853
La: 0.0949 0.7500 0.4588
La: 0.4051 0.2500 0.9588
La: 0.4770 0.7500 0.6853
La: 0.5230 0.2500 0.3147
La: 0.5949 0.7500 0.0412
La: 0.9051 0.2500 0.5412
La: 0.9770 0.7500 0.8147
Mg: 0.1962 0.7500 0.0817
Mg: 0.3038 0.2500 0.5817
Mg: 0.6962 0.7500 0.4183
Mg: 0.8038 0.2500 0.9183
S: 0.0801 0.2500 0.9425
S: 0.1494 0.5084 0.6524
S: 0.1494 0.9916 0.6524
S: 0.1963 0.2500 0.3931
S: 0.3037 0.7500 0.8931
S: 0.3506 0.0084 0.1524
S: 0.3506 0.4916 0.1524
........

Strange country. It is inhabited by two distinct races, both morally and, to some extent, physically: the race of the so-called poor and that of the so-called rich. These two words, rich and poor, are obscure to us, and due to our inadequate knowledge of the language of this country, we were not able to verify their meaning. However, our information mostly comes from the rich, far more approachable, talkative and hospitable than the poor.
The rich say that the poor have come from nobody knows where, have settled in this country from time immemorial and, since then, have done nothing but reproduce, always maintaining unchanged their unpleasant character. Nobody, after having familiarized with their character, could not deplore it and disagree with the rich. First of all, the poor don't like cleanliness and beauty. Their clothes are filthy and ragged, their houses squalid, their furniture worn-out and ugly. But due to their strange and perverse tastes, they seem to prefer rags to new clothes, poor houses to villas and palaces, inexpensive furnishings to designer items.
Who in fact, the rich ask, has ever seen a poor person dressed nicely and living in a beautiful house with luxury decorations?
What is more, the poor don't like culture. You hardly ever see a poor person reading a book and going to a museum or a concert. The poor know nothing of the arts and they easily take an imitative painting for a masterpiece, a statuette from Lucca for one of Praxiteles' works, a vulgar popular song for a prelude of Bach. If it were for them, the Muses, who offer some sort of consolation to men, would have long abandoned the world.
As far as entertainment is concerned, the rich explain that the poor engage in the most unsophisticated activities one could imagine: drinks, popular dances, bocce or ball games, boxing matches and other similar pastimes. As a matter of fact, the rich affirm, the poor prefer ignorance to culture.
Furthermore, the poor hate nature. During the warm season, the rich travel, go to the beach, the countryside, the mountains. They find it rejuvenating for the body and the mind. They enjoy the nice blue water, the pure air and the mountain tranquillity. The poor, on the other hand, utterly refuse to leave their squalid neighbourhoods. They don't care about seasonal changes, nor do they feel the need to mitigate the cold weather with the warm, and the warm with the cold. They prefer the municipal pools to the sea, the dirty suburban fields to the countryside, and their own balconies to the mountains. Now, the rich wonder, how can you not love nature?
At least, while remaining in town, the poor could lead a social life. Not at all. The only gathering place that they seem to know are the so-called factories. And these factories are the gloomiest place imaginable: sinister vessels made of cement and glass, populated by deafening machines, smoky and dirty, ice-cold in the winter and burning hot in the summer.
There are even some poor people who don't live in the city but in the loneliness of the countryside. Their only occupation, as well as pastime apparently, is to turn over soil by means of primitive and heavy iron tools, from dawn to dusk, during all seasons, rain or shine. And to think, the rich say, that there would be plenty of other things to do in this world, much more intelligent and pleasant.
There are likewise even more extravagant poor people who prefer darkness to sunlight, and the bowels of the earth to the sky. They sink into very deep tunnels, and down there, in the darkness, they derive pleasure from extracting rocks. These underground places are called mines. The thought of going down into a mine would never even enter the mind of a rich person.
All this is described by the poor as “work”, another term whose meaning is obscure and incomprehensible to us. The poor are so fond of this work that, for some reason that we were not able to verify, when the factories are closed and the mines inactive, they protest, scream and threaten to start riots and violent actions. As the rich say, how can anyone understand such behaviour? And wouldn't it be easier, more desirable and comfortable to participate in some social gathering or respectable circle?
Furthermore, as far as food is concerned, the poor don't know about delicious dishes, aged wines and delicate desserts. They prefer by far plain food, such as beans, onions, turnips, potatoes, garlic and stale bread. When they occasionally adapt to eat meat and fish, you can guarantee it will be the most unpalatable fish and the toughest meat. As for wine, they only like it sour and watered-down. They don't like early produce, and they wait to have green peas when they are powdery, artichokes stringy and asparagus fibrous. In other words, it is impossible for the poor to appreciate the joys of good food.
With respect to tobacco, these poor fools disdain both the fine products of the Orient and the more savoury ones from America, and they smoke this black, bitter and completely unpleasant garbage that makes you cough. They dislike a nice Cuban cigar or a delicate Turkish cigarette.
Another peculiar fact about the poor: they don't care about their health. One couldn't think otherwise considering the carelessness with which they expose themselves to adverse weather and their negligence in taking care of themselves when they are ill. They don't buy medicines, don't go to the hospital and even refuse to stay in bed when necessary.
The rich explain that the poor neglect their own health due to the fact that they wouldn't want to miss a single day in the factories, the mines and the fields, for which they have an absurd passion. Bizarre as it may seem, this is the reason.
One could go on and on talking about the poor and their attachment to such rough, harmful and extravagant habits. Hence, we shall now examine something more interesting, namely the reasons behind such a preposterous behaviour.
The rich inform us that in-depth studies on the poor have always been conducted, during all times. There are primarily two groups of scholars: those who attribute the character of the poor to some sort of deliberate perversity, and who think they could be corrected and changed; and those who think that no remedy is possible, being the character of the poor innate. The former suggest an active predication and persuasion; the latter, more skeptical, only police action, and they seem to be right, since all that preaching on the advantages of cleanliness, beauty, luxury, culture and leisure has produced no results so far. Quite the opposite in fact: despite the care and concerns shown by the rich, the poor, extremely ungrateful, don't like the rich. It must be acknowledged, however, that the rich are not always able to hide their disgust for the lifestyle of the poor.
As we customarily do during our voyages, we wanted to hear the other side of the story as well. We therefore asked the poor. It was not easy, as they ignore any language different from that of their country. However, we were finally able to obtain this extraordinary answer: the difference between them and the rich is that the rich have something called money, which the poor almost always lack.
We wanted to find out more about this money, able to produce such enormous differences. We discovered that it mostly consists of little pieces of coloured paper or round pieces of metal.
Considering the well-known inclination of the poor to hide the truth, we doubt that this so-called money could be the main source of such peculiar effects.
A strange country indeed, we must conclude.

- The End -